Adaptability: 5 Reasons Why It Is The New Competitive Edge

Evolving in The Modern World offers many great opportunities with great advancements, but also presents many challenges for negotiators. One of them is the fact that technologies context, rules, goals are changing all the time, which requires a high level of adaptability.

# The page is interrupted by records of crystals
********
Calculated PXRD pattern of ZnIn16Sn12 for Cu Kα (weighted mean of Kα1 and Kα2), from DFT lattice parameters and positions (GGA-PBE).
No peak broadening, texture or thermal motion is included.

Top 12 peaks for 10° ≤ 2θ ≤ 80°, by angle:
30.5 deg, I = 31
30.7 deg, I = 38
31.3 deg, I = 26
31.6 deg, I = 99
32.3 deg, I = 50
32.5 deg, I = 93
33.5 deg, I = 100
33.6 deg, I = 58
34.9 deg, I = 59
35.1 deg, I = 26
35.3 deg, I = 34
41.1 deg, I = 26

Structure:
Cell: 10.3819 10.3819 9.5466 Å, 107.84 107.84 111.59°
Sites, in units of the cell vectors:
Zn1 0.0000 0.0000 0.0000
In1 0.1267 0.5548 0.5745
In2 0.1415 0.8372 0.2642
In3 0.2055 0.2055 0.9153
In4 0.2118 0.2118 0.5512
In5 0.2547 0.8345 0.9671
In6 0.2646 0.9579 0.6660
In7 0.5438 0.5438 0.6011
In8 0.5483 0.5483 0.2454
In9 0.5503 0.8833 0.2651
In10 0.5504 0.8970 0.8747
In11 0.5548 0.1267 0.5745
In12 0.8345 0.2547 0.9671
In13 0.8372 0.1415 0.2642
In14 0.8833 0.5503 0.2651
In15 0.8970 0.5504 0.8747
In16 0.9579 0.2646 0.6660
Sn1 0.1545 0.3365 0.2704
Sn2 0.1958 0.5332 0.0717
Sn3 0.3365 0.1545 0.2704
Sn4 0.3823 0.7395 0.4710
Sn5 0.3841 0.5675 0.8734
Sn6 0.5332 0.1958 0.0717
Sn7 0.5675 0.3841 0.8734
Sn8 0.7395 0.3823 0.4710
Sn9 0.7600 0.9464 0.6779
Sn10 0.7693 0.7693 0.0225
Sn11 0.8834 0.8834 0.4027
Sn12 0.9464 0.7600 0.6779



Calculated PXRD pattern of ZnInSn2 for Cu Kα (weighted mean of Kα1 and Kα2), from DFT lattice parameters and positions (GGA-PBE).
No peak broadening, texture or thermal motion is included.

Top 12 peaks for 10° ≤ 2θ ≤ 80°, by angle:
25.3 deg, I = 17
30.9 deg, I = 47
31.7 deg, I = 100
34.0 deg, I = 67
34.5 deg, I = 47
37.1 deg, I = 60
38.7 deg, I = 30
40.5 deg, I = 21
40.8 deg, I = 34
54.7 deg, I = 14
55.8 deg, I = 16
63.5 deg, I = 14

Structure:
Cell: 6.5111 6.5111 5.4659 Å, 98.36 98.36 114.10°
Sites, in units of the cell vectors:
Zn1 0.2261 0.7739 0.7500
Zn2 0.7739 0.2261 0.2500
In1 0.3460 0.6540 0.2500
In2 0.6540 0.3460 0.7500
Sn1 0.1261 0.2851 0.6774
Sn2 0.2851 0.1261 0.1774
Sn3 0.7149 0.8739 0.8226
Sn4 0.8739 0.7149 0.3226



Calculated PXRD pattern of ZnIn14Sn for Cu Kα (weighted mean of Kα1 and Kα2), from DFT lattice parameters and positions (GGA-PBE).
No peak broadening, texture or thermal motion is included.

Top 9 peaks for 10° ≤ 2θ ≤ 80°, by angle:
32.9 deg, I = 100
35.8 deg, I = 40
42.6 deg, I = 12
51.6 deg, I = 14
56.9 deg, I = 20
62.6 deg, I = 30
69.1 deg, I = 11
71.9 deg, I = 10
76.0 deg, I = 4

Structure:
Cell: 7.0853 7.0853 8.4851 Å, 90.00 90.00 90.00°
Sites, in units of the cell vectors:
Zn1 0.0000 0.0000 0.0000
In1 0.0000 0.0000 0.5000
In2 0.0000 0.5000 0.0000
In3 0.0000 0.5000 0.5000
In4 0.2433 0.2433 0.2435
In5 0.2433 0.2433 0.7565
In6 0.2433 0.7567 0.2435
In7 0.2433 0.7567 0.7565
In8 0.5000 0.0000 0.0000
In9 0.5000 0.0000 0.5000
In10 0.5000 0.5000 0.5000
In11 0.7567 0.2433 0.2435
In12 0.7567 0.2433 0.7565
In13 0.7567 0.7567 0.2435
In14 0.7567 0.7567 0.7565
Sn1 0.5000 0.5000 0.0000
********

Disruption is not new, but the speed, complexity and global nature of disruption is at a scale we’ve never seen before.

The problem is that we are not necessarily wired to change (and even less to change quickly).  Most humans dislike major changes and are comfortable with their routines. 

Why? Because change introduces uncertainty, risk, additional work, liabilities, and so on. We often stick to the same brand, old plans, default choices, or anything that is comfortable. We are wired to take the path of least resistance.

Loss aversion is what often prevents us from evolving as well.

Often the heart and the mind disagree. We have two independent systems in us constantly working: the emotional side and the rational side. It is like riding a horse: the rider is reason and the horse is emotion. When they move in different directions, change is uneasy.

However, negotiators have no other choice than adapting. Resistance is out of the equation, unless they want to be left behind.

Darwin quote on adaptability and species

Here are a few reasons why adaptability is the new competitive edge in The Modern World for negotiators seeking at developing top negotiation skills:

  • In a world where the rules and goals are constantly changing, those who can adapt are the long-term winners. As Charles Darwin once said “It is not the strongest that survives; but the species that survives is the one that is able best to adapt and adjust to the changing environment in which it finds itself" ;

  • A negotiator has to adapt to new technologies, new cultures, ever changing circumstances, context, demands. Negotiation is never a script written in advance;

  • If you can’t adapt, you will be overwhelmed. Winds of changes will be coming from all directions. Overwhelming will lead to frustration ed and stress, both enemies of negotiation performance;

  • If you cannot cope with changes and integrate them in your strategy of negotiation, you will be developing a confronting personality and an opposition between the old world and new world. You will become less influential

(Data records, kept here for reference)
Record 1
This entry pairs a crystal structure of Li3Mg4 with its theoretical X-ray powder pattern. Radiation: Cu Kα. Structure: a cell relaxed with PBE.

Main lines, by angle (5 to 70 degrees two-theta):
hkl	Position (°2θ)	I/Imax
0 0 2	7.11	19
0 0 4	14.24	27
1 0 3	28.27	41
1 0 7	36.50	100
1 1 0	37.26	49
1 1 10	52.85	10
2 0 0	53.71	16
2 1 3	61.80	8
1 1 14	65.19	15
2 1 7	66.69	32

```
data_Li3Mg4
_cell_length_a 3.413
_cell_length_b 3.413
_cell_length_c 24.883
_cell_angle_alpha 90.00
_cell_angle_beta 90.00
_cell_angle_gamma 90.00
_symmetry_space_group_name_H-M 'I 4/m m m'
_symmetry_Int_Tables_number 139
_symmetry_space_group_name_Hall '-I 4 2'
loop_
_atom_site_label
_atom_site_type_symbol
_atom_site_fract_x
_atom_site_fract_y
_atom_site_fract_z
_atom_site_occupancy
Li1 Li 0.000 0.000 0.000 1
Li2 Li 0.000 0.000 0.282 1
Mg1 Mg 0.000 0.000 0.148 1
Mg2 Mg 0.000 0.000 0.432 1
```

---

Record 2
This entry pairs a crystal structure of Cs3RbAu4 with its theoretical X-ray powder pattern. Radiation: Cu Kα. Structure: a cell relaxed with PBE.

Main lines, by angle (5 to 70 degrees two-theta):
hkl	Position (°2θ)	I/Imax
1 0 0	20.58	7
0 2 0	29.27	100
1 2 0	36.05	2
2 0 0	41.87	19
2 1 2	47.08	3
2 2 0	51.85	21
2 0 4	51.94	20
2 2 4	60.72	10
0 4 4	68.75	9
3 1 2	68.83	9

```
data_Cs3RbAu4
_cell_length_a 4.314
_cell_length_b 6.114
_cell_length_c 12.191
_cell_angle_alpha 90.00
_cell_angle_beta 90.00
_cell_angle_gamma 90.00
_symmetry_space_group_name_H-M 'P m m m'
_symmetry_Int_Tables_number 47
_symmetry_space_group_name_Hall '-P 2 2'
loop_
_atom_site_label
_atom_site_type_symbol
_atom_site_fract_x
_atom_site_fract_y
_atom_site_fract_z
_atom_site_occupancy
Cs1 Cs 0.000 0.000 0.000 1
Cs2 Cs 0.000 0.500 0.252 1
Rb1 Rb 0.000 0.000 0.500 1
Au1 Au 0.500 0.000 0.258 1
Au2 Au 0.500 0.500 0.000 1
Au3 Au 0.500 0.500 0.500 1
```

* * * * *

Record 1
Diffraction record for Ac5Rh. The XRD peak list is theoretical, not measured: it uses a GGA-PBE-relaxed structure and Cu Ka.
Lines closer than 0.1° are merged.

Structure:
```
6
Lattice="2.0265 -9.3818 0.0000 2.0265 9.3818 0.0000 0.0000 0.0000 6.4515" Properties=species:S:1:pos:R:3 pbc="T T T"
Ac 0.0000 0.0000 0.0000
Ac 2.0265 7.2421 3.2258
Ac 2.0265 3.1209 0.0000
Ac 2.0265 -3.1209 0.0000
Ac 2.0265 -7.2421 3.2258
Rh 2.0265 0.0000 3.2258
```

Main lines, sorted by position (2θ from 10° to 90°):
two_theta	I_rel
27.65	43
29.69	100
31.80	22
35.44	16
44.72	12
49.14	12
50.19	24
53.39	14
57.32	16
78.66	11

***

Record 2
Diffraction record for Ac4Rh. The XRD peak list is theoretical, not measured: it uses a GGA-PBE-relaxed structure and Cu Ka.
Lines closer than 0.1° are merged.

Structure:
```
10
Lattice="4.1660 -7.1681 0.0000 4.1660 7.1681 0.0000 0.0000 0.0000 6.8524" Properties=species:S:1:pos:R:3 pbc="T T T"
Ac 2.0830 1.2531 5.1393
Ac 4.1660 4.7309 5.1745
Ac 4.1660 2.4371 1.7483
Ac 2.0830 -1.2531 1.7131
Ac 6.2490 1.2531 5.1393
Ac 4.1660 -2.4371 5.1040
Ac 4.1660 -4.7309 1.6779
Ac 6.2490 -1.2531 1.7131
Rh 0.0000 0.0000 0.0000

  • Adaptability means opening oneself to new opportunities. On the contrary, resistance to change will cut you off from these new opportunities

Adaptability forms part of Ludovic’s webinar titles “Negotiating in The Modern World: New Technologies, Globalization, Adaptability. For more information on negotiation training in Asia (including Singapore and Hong Kong) and negotiation training courses in Europe (including France and the United Kingdom), please contact us by clicking here.